## File
-- begin --
1.
Here is a 4-piece molecular cluster, CH9NO3 overall from the OMol25 dataset. Energies are from wB97M-V/def2-TZVPD.

Each line ends with the natural charge from an NBO analysis.
CARTESIAN COORDINATES (ANGSTROEM)
1 C -0.1654 3.4783 0.8324  -0.020
2 N -0.2904 2.1789 0.9820  -0.656
3 H 0.0745 3.9197 -0.1319  0.165
4 H -0.3577 4.2846 1.6033  0.147
5 H -0.5167 1.6646 1.7641  0.365
6 O -0.7772 -2.2545 0.8394  -0.947
7 H -0.4893 -2.7116 0.1540  0.477
8 H -0.5401 -2.6306 1.6341  0.457
9 O 1.1927 0.2892 -0.7120  -0.957
10 H 0.5238 0.8921 -1.0870  0.475
11 H 1.3195 0.6441 0.1716  0.481
12 O 0.0219 -2.7080 -1.6390  -0.970
13 H -0.5783 -3.0352 -2.2871  0.479
14 H 0.0896 -1.7630 -1.5973  0.503

Summary:
E_LUMO   0.80 eV
Gap between HOMO and LUMO   10.9 eV
ΔE to the lowest compared entry with this formula, charge and spin   162.6 kJ/mol
SMILES   C=N.O.O.O
Max |F|   6.6 eV Å⁻¹
Energy   -8813.9214 eV

---

2.
Here is a 4-piece molecular cluster, CH9NO5 overall from the OMol25 dataset. Energies are from wB97M-V/def2-TZVPD.

Each line ends with the natural charge from an NBO analysis.
CARTESIAN COORDINATES (ANGSTROEM)
1 N 0.0063 0.6655 -2.3335  -0.322
2 C -1.2668 0.2662 -2.8544  0.843
3 O -1.2035 0.1857 -4.1674  -0.591
4 O -2.2107 0.2046 -2.1423  -0.416
5 H 0.4917 1.5432 -2.5587  0.455
6 H 0.4175 0.0688 -1.5880  0.472
7 H -2.0787 -0.1747 -4.4295  0.541
8 H 0.8964 0.0676 5.8686  0.470
9 H 1.2777 -0.0815 4.3791  0.476
10 O 1.0618 -0.5814 5.1726  -0.947
11 H -0.7660 -1.5054 0.4050  0.513
12 H -1.3337 -0.2530 -0.2137  0.495
13 O -0.4916 -0.6273 0.1049  -0.983
14 H 1.0365 -0.2306 1.2633  0.472
15 H 2.4334 0.3505 1.2423  0.464
16 O 1.7298 0.1018 1.8517  -0.941

Summary:
<S²>   0.76
E_LUMO (spin up / spin down)   -4.67 / -10.00 eV
Gap between HOMO and LUMO (spin up / spin down)   8.3 / 2.9 eV
ΔE to the lowest compared entry with this formula, charge and spin   59.3 kJ/mol
Charge   +1
2S+1   2
Max |F|   2.3 eV Å⁻¹
Energy   -12900.9934 eV


{"formula": "C19H24N4O3", "method": "ωB97M-V with the def2-TZVPD basis set", "species": ["H", "N", "C", "N", "C", "C", "C", "O", "N", "C", "C", "C", "C", "N", "C", "O", "C", "C", "C", "C", "C", "C", "C", "C", "C", "C", "O", "H", "H", "H", "H", "H", "H", "H", "H", "H", "H", "H", "H", "H", "H", "H", "H", "H", "H", "H", "H", "H", "H", "H"], "positions_angstrom": [[3.352, -6.783, -0.707], [2.928, -7.313, -1.460], [2.145, -6.596, -2.141], [1.409, -6.994, -3.235], [0.670, -5.933, -3.712], [0.931, -4.885, -2.927], [0.403, -3.517, -3.076], [-0.241, -3.248, -4.084], [0.655, -2.594, -2.123], [1.236, -2.779, -0.784], [0.716, -1.570, -0.010], [-0.670, -1.827, 0.573], [0.709, -0.488, -1.105], [-0.049, 0.698, -0.789], [0.497, 1.948, -0.779], [1.686, 2.150, -0.933], [-0.502, 3.075, -0.576], [0.083, 4.236, 0.245], [-0.360, 4.172, 1.683], [0.279, 3.315, 2.576], [-0.164, 3.214, 3.886], [-1.246, 3.968, 4.318], [-1.899, 4.833, 3.445], [-3.082, 5.640, 3.906], [-1.441, 4.921, 2.135], [0.191, -1.229, -2.338], [1.847, -5.269, -1.949], [1.434, -7.930, -3.593], [0.024, -5.987, -4.570], [0.913, -3.719, -0.344], [2.327, -2.784, -0.833], [1.407, -1.299, 0.789], [-1.390, -2.097, -0.204], [-0.639, -2.650, 1.287], [-1.042, -0.948, 1.102], [1.729, -0.148, -1.277], [-1.046, 0.619, -0.686], [-1.427, 2.706, -0.130], [-0.747, 3.418, -1.585], [-0.242, 5.184, -0.185], [1.169, 4.198, 0.164], [1.132, 2.736, 2.242], [0.342, 2.553, 4.578], [-1.582, 3.891, 5.346], [-3.279, 6.473, 3.232], [-3.983, 5.023, 3.944], [-2.920, 6.042, 4.907], [-1.937, 5.599, 1.447], [-0.902, -1.197, -2.397], [0.577, -0.825, -3.273]], "smiles": "[H]/N=c1/[nH]cc(C(=O)N2C[C@H](C)[C@H](NC(=O)CCc3cccc(C)c3)C2)o1", "total_charge": 0, "de_lowest_kcal_mol": 38.0}

=====
-- stop --

## Activity
Set down the calculation results above with every line break kept.

## Done
1.
Here is a 4-piece molecular cluster, CH9NO3 overall from the OMol25 dataset. Energies are from wB97M-V/def2-TZVPD.

Each line ends with the natural charge from an NBO analysis.
CARTESIAN COORDINATES (ANGSTROEM)
1 C -0.1654 3.4783 0.8324  -0.020
2 N -0.2904 2.1789 0.9820  -0.656
3 H 0.0745 3.9197 -0.1319  0.165
4 H -0.3577 4.2846 1.6033  0.147
5 H -0.5167 1.6646 1.7641  0.365
6 O -0.7772 -2.2545 0.8394  -0.947
7 H -0.4893 -2.7116 0.1540  0.477
8 H -0.5401 -2.6306 1.6341  0.457
9 O 1.1927 0.2892 -0.7120  -0.957
10 H 0.5238 0.8921 -1.0870  0.475
11 H 1.3195 0.6441 0.1716  0.481
12 O 0.0219 -2.7080 -1.6390  -0.970
13 H -0.5783 -3.0352 -2.2871  0.479
14 H 0.0896 -1.7630 -1.5973  0.503

Summary:
E_LUMO   0.80 eV
Gap between HOMO and LUMO   10.9 eV
ΔE to the lowest compared entry with this formula, charge and spin   162.6 kJ/mol
SMILES   C=N.O.O.O
Max |F|   6.6 eV Å⁻¹
Energy   -8813.9214 eV

---

2.
Here is a 4-piece molecular cluster, CH9NO5 overall from the OMol25 dataset. Energies are from wB97M-V/def2-TZVPD.

Each line ends with the natural charge from an NBO analysis.
CARTESIAN COORDINATES (ANGSTROEM)
1 N 0.0063 0.6655 -2.3335  -0.322
2 C -1.2668 0.2662 -2.8544  0.843
3 O -1.2035 0.1857 -4.1674  -0.591
4 O -2.2107 0.2046 -2.1423  -0.416
5 H 0.4917 1.5432 -2.5587  0.455
6 H 0.4175 0.0688 -1.5880  0.472
7 H -2.0787 -0.1747 -4.4295  0.541
8 H 0.8964 0.0676 5.8686  0.470
9 H 1.2777 -0.0815 4.3791  0.476
10 O 1.0618 -0.5814 5.1726  -0.947
11 H -0.7660 -1.5054 0.4050  0.513
12 H -1.3337 -0.2530 -0.2137  0.495
13 O -0.4916 -0.6273 0.1049  -0.983
14 H 1.0365 -0.2306 1.2633  0.472
15 H 2.4334 0.3505 1.2423  0.464
16 O 1.7298 0.1018 1.8517  -0.941

Summary:
<S²>   0.76
E_LUMO (spin up / spin down)   -4.67 / -10.00 eV
Gap between HOMO and LUMO (spin up / spin down)   8.3 / 2.9 eV
ΔE to the lowest compared entry with this formula, charge and spin   59.3 kJ/mol
Charge   +1
2S+1   2
Max |F|   2.3 eV Å⁻¹
Energy   -12900.9934 eV


{"formula": "C19H24N4O3", "method": "ωB97M-V with the def2-TZVPD basis set", "species": ["H", "N", "C", "N", "C", "C", "C", "O", "N", "C", "C", "C", "C", "N", "C", "O", "C", "C", "C", "C", "C", "C", "C", "C", "C", "C", "O", "H", "H", "H", "H", "H", "H", "H", "H", "H", "H", "H", "H", "H", "H", "H", "H", "H", "H", "H", "H", "H", "H", "H"], "positions_angstrom": [[3.352, -6.783, -0.707], [2.928, -7.313, -1.460], [2.145, -6.596, -2.141], [1.409, -6.994, -3.235], [0.670, -5.933, -3.712], [0.931, -4.885, -2.927], [0.403, -3.517, -3.076], [-0.241, -3.248, -4.084], [0.655, -2.594, -2.123], [1.236, -2.779, -0.784], [0.716, -1.570, -0.010], [-0.670, -1.827, 0.573], [0.709, -0.488, -1.105], [-0.049, 0.698, -0.789], [0.497, 1.948, -0.779], [1.686, 2.150, -0.933], [-0.502, 3.075, -0.576], [0.083, 4.236, 0.245], [-0.360, 4.172, 1.683], [0.279, 3.315, 2.576], [-0.164, 3.214, 3.886], [-1.246, 3.968, 4.318], [-1.899, 4.833, 3.445], [-3.082, 5.640, 3.906], [-1.441, 4.921, 2.135], [0.191, -1.229, -2.338], [1.847, -5.269, -1.949], [1.434, -7.930, -3.593], [0.024, -5.987, -4.570], [0.913, -3.719, -0.344], [2.327, -2.784, -0.833], [1.407, -1.299, 0.789], [-1.390, -2.097, -0.204], [-0.639, -2.650, 1.287], [-1.042, -0.948, 1.102], [1.729, -0.148, -1.277], [-1.046, 0.619, -0.686], [-1.427, 2.706, -0.130], [-0.747, 3.418, -1.585], [-0.242, 5.184, -0.185], [1.169, 4.198, 0.164], [1.132, 2.736, 2.242], [0.342, 2.553, 4.578], [-1.582, 3.891, 5.346], [-3.279, 6.473, 3.232], [-3.983, 5.023, 3.944], [-2.920, 6.042, 4.907], [-1.937, 5.599, 1.447], [-0.902, -1.197, -2.397], [0.577, -0.825, -3.273]], "smiles": "[H]/N=c1/[nH]cc(C(=O)N2C[C@H](C)[C@H](NC(=O)CCc3cccc(C)c3)C2)o1", "total_charge": 0, "de_lowest_kcal_mol": 38.0}

=====